Give back all of the notes underneath with every line break kept, please.

Record 1
A relaxed structure of Sm2DyP3. Source: OQMD, functional PBE-GGA.

Values from the calculation:
The theoretical density is 6.4 Mg/m³.

Cell: 4.0740 4.0740 9.9696 Å, 90.00 90.00 120.00°
Space group P-3m1 (No. 164)
Asymmetric unit:
Sm  0.3333  0.6667  0.3309
Dy  0.0000  0.0000  0.0000
P  0.0000  0.0000  0.5000
P  0.3333  0.6667  0.8385

Record 2
A relaxed structure of TbDyZr2P2. Source: OQMD, functional PBE-GGA.

Values from the calculation:
The theoretical density is 7.5 Mg/m³.

Cell: 4.0201 4.0201 15.5511 Å, 90.00 90.00 90.00°
Space group I4mm (No. 107)
Asymmetric unit:
Tb  0.0000  0.0000  0.0000
Dy  0.0000  0.0000  0.3566
Zr  0.0000  0.5000  0.1786
P  0.0000  0.0000  0.5477
P  0.0000  0.0000  0.8093

Number 1: total DFT energy (no corrections) -39.77 eV for the cell shown. Number 2: total DFT energy (no corrections) -86.89 eV for the cell shown.

* * * * *

Density functional theory data (meta-GGA SCAN) for a PBEsol-optimized structure of Co2ReTcN.

The value obtained for the energy relative to the elements, uncorrected is 1.437 eV/atom.

The space group is P4/mmm (No. 123) and the conventional cell measures 4.473, 4.473 and 3.704 Å, with angles of 90.00, 90.00 and 90.00 degrees. The asymmetric unit holds Co at (0.000, 0.500, 0.000), Re at (0.000, 0.000, 0.000), Tc at (0.500, 0.500, 0.500) and N at (0.000, 0.000, 0.500).

* * * * *

# LaY2Al2

A PBEsol-optimized structure of LaY2Al2 (SCAN, Alexandria via LeMat-Bulk).

abc: 8.4967 8.4967 3.6098
angles: 90.00 90.00 90.00
Element x y z (fractional)
La1 0.0000 0.0000 0.0000
La2 0.5000 0.5000 0.0000
Y1 0.1797 0.3203 0.5000
Y2 0.3203 0.8203 0.5000
Y3 0.6797 0.1797 0.5000
Y4 0.8203 0.6797 0.5000
Al1 0.1132 0.6132 0.0000
Al2 0.3868 0.1132 0.0000
Al3 0.6132 0.8868 0.0000
Al4 0.8868 0.3868 0.0000

Results
Magnetic moment, μB/cell: 0.4
Symmetry: P4/mbm (127)
Energy of formation from the pure elements, eV per atom: -0.332
Fermi-level density of states, states/eV per atom: 1.07
V, A^3/atom: 26.061



# TaPdBr2

A PBEsol-optimized structure of TaPdBr2 (SCAN, Alexandria via LeMat-Bulk).

abc: 4.6034 4.6034 4.6034
angles: 60.00 60.00 60.00
Element x y z (fractional)
Ta1 0.0000 0.0000 0.0000
Pd1 0.5000 0.5000 0.5000
Br1 0.2500 0.2500 0.2500
Br2 0.7500 0.7500 0.7500

Results
Magnetic moment, μB/cell: 0.0
Symmetry: Fm-3m (225)
Energy relative to the elements, uncorrected, eV per atom: 0.570
Fermi-level density of states, states/eV per atom: 0.48
V, A^3/atom: 17.244



# LiMgCd2

A PBEsol-optimized structure of LiMgCd2 (SCAN, Alexandria via LeMat-Bulk).

abc: 4.6072 4.6072 3.6077
angles: 90.00 90.00 90.10
Element x y z (fractional)
Li1 0.0000 0.0000 0.0000
Mg1 0.5000 0.5000 0.0000
Cd1 0.0000 0.5000 0.5000
Cd2 0.5000 0.0000 0.5000

Results
Magnetic moment, μB/cell: 0.0
Symmetry: Cmmm (65)
Energy of formation from the pure elements, eV per atom: -0.245
Fermi-level density of states, states/eV per atom: 0.25
V, A^3/atom: 19.145



# Cs3SbPt

A PBEsol-optimized structure of Cs3SbPt (SCAN, Alexandria via LeMat-Bulk).

abc: 7.0142 7.0142 7.0142
angles: 90.00 90.00 90.00
Element x y z (fractional)
Cs1 0.0000 0.0000 0.5000
Cs2 0.0000 0.5000 0.0000
Cs3 0.5000 0.0000 0.0000
Sb1 0.0000 0.0000 0.0000
Pt1 0.5000 0.5000 0.5000

Results
Magnetic moment, μB/cell: 2.0
Symmetry: Pm-3m (221)
Energy relative to the elements, uncorrected, eV per atom: 0.437
Fermi-level density of states, states/eV per atom: 1.73
V, A^3/atom: 69.018



# AlInAg2S4

A PBEsol-optimized structure of AlInAg2S4 (SCAN, Alexandria via LeMat-Bulk).

abc: 6.7619 6.7619 6.7619
angles: 130.04 130.04 73.34
Element x y z (fractional)
Al1 0.0000 0.0000 0.0000
In1 0.2500 0.7500 0.5000
Ag1 0.5000 0.5000 0.0000
Ag2 0.7500 0.2500 0.5000
S1 0.1162 0.1120 0.4633
S2 0.3470 0.8838 0.9958
S3 0.6487 0.6530 0.5367
S4 0.8880 0.3513 0.0042

Results
Magnetic moment, μB/cell: 0.0
Symmetry: I-4 (82)
Energy relative to the elements, uncorrected, eV per atom: -0.711
Fermi-level density of states, states/eV per atom: 0.00
V, A^3/atom: 22.112



# GaTeBr3

Record 1
A relaxed structure of Sm2DyP3. Source: OQMD, functional PBE-GGA.

Values from the calculation:
The theoretical density is 6.4 Mg/m³.

Cell: 4.0740 4.0740 9.9696 Å, 90.00 90.00 120.00°
Space group P-3m1 (No. 164)
Asymmetric unit:
Sm  0.3333  0.6667  0.3309
Dy  0.0000  0.0000  0.0000
P  0.0000  0.0000  0.5000
P  0.3333  0.6667  0.8385

Record 2
A relaxed structure of TbDyZr2P2. Source: OQMD, functional PBE-GGA.

Values from the calculation:
The theoretical density is 7.5 Mg/m³.

Cell: 4.0201 4.0201 15.5511 Å, 90.00 90.00 90.00°
Space group I4mm (No. 107)
Asymmetric unit:
Tb  0.0000  0.0000  0.0000
Dy  0.0000  0.0000  0.3566
Zr  0.0000  0.5000  0.1786
P  0.0000  0.0000  0.5477
P  0.0000  0.0000  0.8093

Number 1: total DFT energy (no corrections) -39.77 eV for the cell shown. Number 2: total DFT energy (no corrections) -86.89 eV for the cell shown.

* * * * *

Density functional theory data (meta-GGA SCAN) for a PBEsol-optimized structure of Co2ReTcN.

The value obtained for the energy relative to the elements, uncorrected is 1.437 eV/atom.

The space group is P4/mmm (No. 123) and the conventional cell measures 4.473, 4.473 and 3.704 Å, with angles of 90.00, 90.00 and 90.00 degrees. The asymmetric unit holds Co at (0.000, 0.500, 0.000), Re at (0.000, 0.000, 0.000), Tc at (0.500, 0.500, 0.500) and N at (0.000, 0.000, 0.500).

* * * * *

# LaY2Al2

A PBEsol-optimized structure of LaY2Al2 (SCAN, Alexandria via LeMat-Bulk).

abc: 8.4967 8.4967 3.6098
angles: 90.00 90.00 90.00
Element x y z (fractional)
La1 0.0000 0.0000 0.0000
La2 0.5000 0.5000 0.0000
Y1 0.1797 0.3203 0.5000
Y2 0.3203 0.8203 0.5000
Y3 0.6797 0.1797 0.5000
Y4 0.8203 0.6797 0.5000
Al1 0.1132 0.6132 0.0000
Al2 0.3868 0.1132 0.0000
Al3 0.6132 0.8868 0.0000
Al4 0.8868 0.3868 0.0000

Results
Magnetic moment, μB/cell: 0.4
Symmetry: P4/mbm (127)
Energy of formation from the pure elements, eV per atom: -0.332
Fermi-level density of states, states/eV per atom: 1.07
V, A^3/atom: 26.061



# TaPdBr2

A PBEsol-optimized structure of TaPdBr2 (SCAN, Alexandria via LeMat-Bulk).

abc: 4.6034 4.6034 4.6034
angles: 60.00 60.00 60.00
Element x y z (fractional)
Ta1 0.0000 0.0000 0.0000
Pd1 0.5000 0.5000 0.5000
Br1 0.2500 0.2500 0.2500
Br2 0.7500 0.7500 0.7500

Results
Magnetic moment, μB/cell: 0.0
Symmetry: Fm-3m (225)
Energy relative to the elements, uncorrected, eV per atom: 0.570
Fermi-level density of states, states/eV per atom: 0.48
V, A^3/atom: 17.244



# LiMgCd2

A PBEsol-optimized structure of LiMgCd2 (SCAN, Alexandria via LeMat-Bulk).

abc: 4.6072 4.6072 3.6077
angles: 90.00 90.00 90.10
Element x y z (fractional)
Li1 0.0000 0.0000 0.0000
Mg1 0.5000 0.5000 0.0000
Cd1 0.0000 0.5000 0.5000
Cd2 0.5000 0.0000 0.5000

Results
Magnetic moment, μB/cell: 0.0
Symmetry: Cmmm (65)
Energy of formation from the pure elements, eV per atom: -0.245
Fermi-level density of states, states/eV per atom: 0.25
V, A^3/atom: 19.145



# Cs3SbPt

A PBEsol-optimized structure of Cs3SbPt (SCAN, Alexandria via LeMat-Bulk).

abc: 7.0142 7.0142 7.0142
angles: 90.00 90.00 90.00
Element x y z (fractional)
Cs1 0.0000 0.0000 0.5000
Cs2 0.0000 0.5000 0.0000
Cs3 0.5000 0.0000 0.0000
Sb1 0.0000 0.0000 0.0000
Pt1 0.5000 0.5000 0.5000

Results
Magnetic moment, μB/cell: 2.0
Symmetry: Pm-3m (221)
Energy relative to the elements, uncorrected, eV per atom: 0.437
Fermi-level density of states, states/eV per atom: 1.73
V, A^3/atom: 69.018



# AlInAg2S4

A PBEsol-optimized structure of AlInAg2S4 (SCAN, Alexandria via LeMat-Bulk).

abc: 6.7619 6.7619 6.7619
angles: 130.04 130.04 73.34
Element x y z (fractional)
Al1 0.0000 0.0000 0.0000
In1 0.2500 0.7500 0.5000
Ag1 0.5000 0.5000 0.0000
Ag2 0.7500 0.2500 0.5000
S1 0.1162 0.1120 0.4633
S2 0.3470 0.8838 0.9958
S3 0.6487 0.6530 0.5367
S4 0.8880 0.3513 0.0042

Results
Magnetic moment, μB/cell: 0.0
Symmetry: I-4 (82)
Energy relative to the elements, uncorrected, eV per atom: -0.711
Fermi-level density of states, states/eV per atom: 0.00
V, A^3/atom: 22.112



# GaTeBr3